WP3.3 Grid Monitoring

M15 Deliverable

Software Evaluation

and Testing

WP3 New Grid Services and Tools

Document Filename: / CG3.3-D3.4-v1.4-TCD016-M15Deliverable.doc
Work package: / WP3 New Grid Services and Tools
Partner(s): / TCD, CYFRONET, ICM
Lead Partner: / TCD
Config ID: / CG3.3-D3.4-v1.4-TCD016-M15Deliverable
Document classification: / Confidential
Abstract: This document is an internal progress report on WP3, Task 3.3 grid monitoring, software evaluation and testing.
CG3.3-D3.4-v1.4-TCD016-M15Deliverable / Confidential / 1 / 60
/ Task 3.3 Grid Monitoring M15 Deliverable
CG3.3-D3.4-v1.4-TCD016-M15Deliverable / Confidential / 2 / 60
/ Task 3.3 Grid Monitoring M15 Deliverable
Delivery Slip
Name / Partner / Date / Signature
From / WP3, Subtask 3.3 / TCD / May 30th, 2003 / Brian Coghlan
Verified by
Approved by
Document Log
Version / Date / Summary of changes / Author
1-0 / 10/04/2003 / Draft version / Bartosz Baliś, Brian Coghlan, Stuart Kenny, Krzysztof Nawrocki, Adam Padee, Marcin Radecki, Tomasz Szepieniec, Slawomir Zielinski
1-1 / 02/05/2003 / Draft version. Updated after TAT review. / Bartosz Baliś, Brian Coghlan, Stuart Kenny, Krzysztof Nawrocki, Adam Padee, Marcin Radecki, Tomasz Szepieniec, Slawomir Zielinski
1-2 / 08/05/2003 / Draft version. Updated after further comments. / Bartosz Baliś, Brian Coghlan, Stuart Kenny, Krzysztof Nawrocki, Adam Padee, Marcin Radecki, Tomasz Szepieniec, Slawomir Zielinski
1-3 / 26/05/2003 / Draft version. Updated risk assessment. / Bartosz Baliś, Brian Coghlan, Stuart Kenny, Krzysztof Nawrocki, Adam Padee, Marcin Radecki, Tomasz Szepieniec, Slawomir Zielinski
1-4 / 30/05/2003 / Final version. Updated after internal review. / Bartosz Baliś, Brian Coghlan, Stuart Kenny, Krzysztof Nawrocki, Adam Padee, Marcin Radecki, Tomasz Szepieniec, Slawomir Zielinski





3.1 Definitions, Abbreviations, Acronyms 11

4 state of the art 12

4.1 Applications MONITORING 12

4.1.1 OCM-G 12

4.2 Instruments, Infrastructure, Derived Results 14

4.2.1 Instruments: SANTA-G 14

4.2.2 Infrastructure: JIMS 15

4.2.3 Derived Results: Postprocessing 17

5 Contributions to Grid Technology 19

5.1 Applications MONITORING 19

5.1.1 OCM-G 19

5.2 Instruments, Infrastructure, Derived Results 20

5.2.1 Instruments: SANTA-G 20

5.2.2 Infrastructure: JIMS 21

5.2.3 Derived Results: Postprocessing 22

6 Brief description of the software 23

6.1 Application monitoring 23

********
Computed, not measured: an optimized crystal structure of NaNbN2 at the PBE level of DFT.

Computed properties:
Its energy relative to the elements is -903 meV/atom. The calculation puts the total moment at 0.00 μB/f.u. Its space group is Pbca (61). The volume is 15.98 Å³/atom.

Cell lengths 5.6519, 11.3370, 15.9597 Å; angles 90.00, 90.00, 90.00 degrees
Last column: nearest neighbours and their distance in Å.
Element x y z (fractional)
Na  0.2144  0.0025  0.0589  4 N 2.38-2.54
Na  0.2144  0.4975  0.5589  4 N 2.38-2.54
Na  0.2504  0.2199  0.1894  4 N 2.51-2.80
Na  0.2504  0.2801  0.6894  4 N 2.51-2.80
Na  0.2496  0.7199  0.1894  4 N 2.51-2.80
Na  0.2496  0.7801  0.6894  4 N 2.51-2.80
Na  0.2856  0.5025  0.0589  4 N 2.38-2.54
Na  0.2856  0.9975  0.5589  4 N 2.38-2.54
Na  0.7144  0.0025  0.4411  4 N 2.38-2.54
Na  0.7144  0.4975  0.9411  4 N 2.38-2.54
Na  0.7504  0.2199  0.3106  4 N 2.51-2.80
Na  0.7504  0.2801  0.8106  4 N 2.51-2.80
Na  0.7496  0.7199  0.3106  4 N 2.51-2.80
Na  0.7496  0.7801  0.8106  4 N 2.51-2.80
Na  0.7856  0.5025  0.4411  4 N 2.38-2.54
Na  0.7856  0.9975  0.9411  4 N 2.38-2.54
Nb  0.2082  0.5201  0.8100  4 N 1.95-1.97
Nb  0.2082  0.9799  0.3100  4 N 1.95-1.97
Nb  0.2420  0.2276  0.4341  4 N 1.94-1.98
Nb  0.2420  0.2724  0.9341  4 N 1.94-1.98
Nb  0.2580  0.7276  0.4341  4 N 1.94-1.98
Nb  0.2580  0.7724  0.9341  4 N 1.94-1.98
Nb  0.2918  0.0201  0.8100  4 N 1.95-1.97
Nb  0.2918  0.4799  0.3100  4 N 1.95-1.97
Nb  0.7082  0.5201  0.6900  4 N 1.95-1.97
Nb  0.7082  0.9799  0.1900  4 N 1.95-1.97
Nb  0.7420  0.2276  0.0659  4 N 1.94-1.98
Nb  0.7420  0.2724  0.5659  4 N 1.94-1.98
Nb  0.7580  0.7276  0.0659  4 N 1.94-1.98
Nb  0.7580  0.7724  0.5659  4 N 1.94-1.98
Nb  0.7918  0.0201  0.6900  4 N 1.95-1.97
Nb  0.7918  0.4799  0.1900  4 N 1.95-1.97
N  0.0082  0.1771  0.9940  2 Nb 1.96-1.98
N  0.0082  0.3229  0.4940  2 Nb 1.96-1.98
N  0.0453  0.0167  0.2055  2 Nb 1.95-1.97
N  0.0453  0.4833  0.7055  2 Nb 1.95-1.97
N  0.0838  0.0840  0.3980  2 Nb 1.94-1.96
N  0.0838  0.4160  0.8980  2 Nb 1.94-1.96
N  0.1461  0.6867  0.8348  2 Nb 1.96
N  0.1461  0.8133  0.3348  2 Nb 1.96
N  0.3539  0.1867  0.8348  2 Nb 1.96
N  0.3539  0.3133  0.3348  2 Nb 1.96
N  0.4162  0.5840  0.3980  2 Nb 1.94-1.96
N  0.4162  0.9160  0.8980  2 Nb 1.94-1.96
N  0.4547  0.5167  0.2055  2 Nb 1.95-1.97
N  0.4547  0.9833  0.7055  2 Nb 1.95-1.97
N  0.4918  0.6771  0.9940  2 Nb 1.96-1.98
N  0.4918  0.8229  0.4940  2 Nb 1.96-1.98
N  0.5082  0.1771  0.5060  2 Nb 1.96-1.98
N  0.5082  0.3229  0.0060  2 Nb 1.96-1.98
N  0.5453  0.0167  0.2945  2 Nb 1.95-1.97
N  0.5453  0.4833  0.7945  2 Nb 1.95-1.97
N  0.5838  0.0840  0.1020  2 Nb 1.94-1.96
N  0.5838  0.4160  0.6020  2 Nb 1.94-1.96
N  0.6461  0.6867  0.6652  2 Nb 1.96
N  0.6461  0.8133  0.1652  2 Nb 1.96
N  0.8539  0.1867  0.6652  2 Nb 1.96
N  0.8539  0.3133  0.1652  2 Nb 1.96
N  0.9162  0.5840  0.1020  2 Nb 1.94-1.96
N  0.9162  0.9160  0.6020  2 Nb 1.94-1.96
N  0.9547  0.5167  0.2945  2 Nb 1.95-1.97
********

6.1.1 OCM-G 23

6.2 Instruments, Infrastructure, Derived Results 23

6.2.1 Instruments: SANTA-G 23

6.2.2 Infrastructure: JIMS 24

6.2.3 Derived Results: Postprocessing 25

7 aims, tests and evaluation, new requirements 26

7.1 Applications MONITORING 26

7.1.1 OCM-G 26

7.2 Instruments, Infrastructure, Derived Results 27

7.2.1 Instruments: SANTA-G 27

7.2.2 Infrastructure: JIMS 28

7.2.3 Derived Results: Postprocessing 28

8 Results of the tests and evaluation 29

8.1 Applications MONITORING 29

8.1.1 OCM-G 29

8.2 Instruments, Infrastructure, Derived Results 29

8.2.1 Instruments: SANTA-G 29

8.2.2 Infrastructure: JIMS 29

8.2.3 Derived Results: Postprocessing 29

9 Problems and issues 30

9.1 Applications MONITORING 30

9.1.1 OCM-G 30

9.2 Instruments, Infrastructure, Derived Results 30

9.2.1 Instruments: SANTA-G 30

9.2.2 Infrastructure: JIMS 31

9.2.3 Derived Results: Postprocessing 31

10 Future plans 32

10.1 Applications MONITORING 32

10.1.1 OCM-G 32

10.2 Instruments, Infrastructure, Derived Results 32

10.2.1 Instruments: SANTA-G 32

10.2.2 Infrastructure: JIMS 33

10.2.3 Derived Results: Postprocessing 35


11.1 Applications MONITORING 36

11.1.1 OCM-G 36

11.2 Instruments, Infrastructure, Derived Results 36

11.2.1 Instruments: SANTA-G 36

11.2.2 Infrastructure: JIMS 36

11.2.3 Derived Results: Postprocessing 37

12 Risk assessment 38

12.1 Applications MONITORING 38

12.1.1 OCM-G 38

12.2 Instruments, Infrastructure, Derived Results 43

12.2.1 Instruments: SANTA-G 43

12.2.2 Infrastructure: JIMS 46

12.2.3 Derived Results: Postprocessing 50

13 Concluding remarks 55

14 Appendix A 56


Bal2000 Z.Balaton, P.Kacsuk, N.Podhorszki, F.Vajda, Comparison of Representative Grid
Monitoring Tools, http://www.lpds.sztaki.hu/publications/reports/lpds-2-2000.pdf

CrossGrid CrossGrid Project Technical Annex,


DataGrid DataGrid Project Technical Annex DataGridPart_B_V2_51.doc

Ganglia http://ganglia.sourceforge.net/

GRIDLAB GridLab Project Home Page


GRADS Grid Application Development Software Project Home Page http://nhse2.cs.rice.edu/grads/

Jiro http://www.jiro.org/

Jiro D3.3 Jiro Based Grid Infrastructure Monitoring System, First Prototype Description, part of D3.3


Jiro D3.2 Jiro Software Design Document


Jiro Tech Jiro Technology Installation and Configuration Guide, © Sun Microsystems

JMX Spec Java Management Extension Specification, © Sun Microsystems,


KaTools P.Augerat, C.Martin, B.Stein, Scalable monitoring and configuration tools for grids
and clusters, http://ka-tools.sourceforge.net/publications/ka-admin-pdp02.pdf

NWS http://nws.cs.ucsb.edu/

OCM A Monitoring System for Interoperable Tools


OCMGD3.3 Description of the OCM-G first prototype, part of CrossGrid deliverable 3.3.


OGSA The Physiology of the Grid: An Open Grid Services Architecture for Distributed Systems Integration. I. Foster, C. Kesselman, J. Nick, S. Tuecke, January 2002.


OGSA-DAI http://www.ogsadai.org.uk/

OMIS OMIS – On-line Monitoring Interface Specification. Version 2.0. Lehrstuhl für Rechnertechnik und Rechnerorganisation Institut für Informatik (LRR-TUM), Technische Universität München.


RFC 1213 K. McCloghrie, M.Rose (ed.), Management Information Base for Network Management of TCP/IP-based Internets: MIB-II

RGIS-RG Relational Grid Information Services Research Group


R-GMA R-GMA: A Relational Grid Information and Monitoring System


R-GMA ARCH DataGrid Project Deliverable 3.2 DataGrid-03-D3.2-0101-1-0


RGMA-OGSA A presentation describing the R-GMA transformation to web-services


SANTA Prototype Trace Probe and Probe Adaptor and Prototype Trace Software, http://www.cs.tcd.ie/Brian.Coghlan/scieuro/scieuro.html, Esprit Project 25257, SCI Europe, Deliverables, Trinity College Dublin, 1999

SCITRAC B. Skalli, I. Birkeli, B. Nossum, and D. Wormald, Scitrac – an lsa preprocessor for sci link tracing, in Scalable Coherent Interface: Technology and Application, 1998.

SMiLE Jie Tao, A low-level Software Infrastructure for the SMiLE Monitoring Approach


SNORT Open-source network intrusion detection system, http://www.snort.org/

Spitfire Grid enabled middleware service for access to relational databases, http://spitfire.web.cern.ch/Spitfire

Task3.3 SRS Task3.3 Grid Monitoring Software Requirements Specification



Task2.4 SRS Task2.4 Interactive and semiautomatic performance evaluation tools



TCPDump http://www.tcpdump.org/

TEK http://www.tek.com

TopoMon M.denBurger, T.Kielmann, H.E.Bal, TopoMon: A Monitoring Tool for Grid
Network Topology, http://www.gridlab.org/Resources/Papers/iccs02.pdf

WP3 Inst WP3 Installation Guide



This document is the month 15 deliverable for Task 3.3, Grid Monitoring. It forms part of an internal progress report on WP3 software evaluation and testing. Section 3 is the introduction, and also provides definitions, abbreviations and acronyms. Section 4 describes the current state of the art, while Section 5 provides a description of the contribution of Task 3.3 to current grid technology. Section 6 provides a brief description of the software. The aims of the prototypes and the tests are described in Section 7, and the results of these tests are given in Section 8. Any problems and issues discovered with the prototypes are described in Section 9. The plans for Task 3.3 for the next year are detailed in Section 10. Section 11 describes the plans of Task 3.3 regarding preparing for OGSA. A detailed risk analysis for the task is given in Section 12. Section 13 contains concluding remarks.


According to the technical annex [CrossGrid], it was proposed that within Task 3.3 a prototype infrastructure for the needs of monitoring-related activities for automatic extraction of high-level performance properties and for tool support of performance analysis would be developed. The aim of the Grid monitoring facilities provided by the Grid Monitoring task is to underpin the functionality of various tools by delivering the low-level data intended for the above. During the design phase system scalability, flexibility and ease of configuration were the guidelines. These are still the guidelines now during the implementation phase.

For the Grid Monitoring task we deliberately restricted our scope. We chose to both add new services (for applications monitoring) and to extend existing services (for monitoring instruments and infrastructure, and for generating derived-results), see Figure 3.1. Analysis has shown that the new applications monitoring was substantially different from monitoring infrastructure and instruments - they needed two separate approaches:

·  Infrastructure monitoring collects static and dynamic information about Grid components, such as hosts or network connections; this information is indispensable for basic Grid activities as resource allocation or load balancing; often this type of information has not only immediate, but also historic value, thus it is often stored in a database for alater analysis (e.g., statistical, forecasting, etc.),

·  Application monitoring aims at observing a particular execution of an application; the collected data is useful for tools for application development support, which are used to detect bugs, bottlenecks or just visualize the application's behaviour; this kind of information in principle does not have historic value – it is meaningful only in the context of a particular execution.

Figure 3.1: The Grid Monitoring System

For applications monitoring we chose to:

·  proceed in an OCM-compliant route, for compatibility with WP2

·  implement direct low-latency communications

For extending existing grid monitoring services we chose to:

·  deliberately avoid a hierarchical (e.g. LDAP) approach

·  proceed in an OGSA-compliant route, using R-GMA as the interim web-based service

·  implement instrument monitoring as part of R-GMA

·  implement infrastructure monitoring using Jiro tools that already support infrastructure protocols and dynamic system configuration, with import/export from/to other services

·  explore the potential of Jiro techniques for higher levels of grid monitoring

·  consider results derived from monitoring data as just another stream of monitoring data

·  produce data for external consumption via a single web-based API (initially R-GMA)

·  closely monitor OGSA developments

3.1  Definitions, Abbreviations, Acronyms

CrossGrid The EU CrossGrid Project IST-2001-32243

DataGrid The EU DataGrid Project IST-2000-25182

FMA Federated Management Architecture, defined by Sun Microsystems

GUI Graphical User Interface

JIMS Jiro/JMX-based Grid Infrastructure Monitoring System

Jiro SUN Jiro, implementation of the FMA specification

LDAP Lightweight Directory Access Protocol

LDAP DIT LDAP Directory Information tree

MDS Monitoring and Discovery Service

NWS Network Weather Service

OCM OMIS-Compliant Monitor

OCM-G Grid-enabled OMIS-Compliant Monitor

OGSA Open Grid Services Architecture

OGSA-DAI OGSA Data Access and Integration

OMIS On-line Monitoring Interface Specification

RDBMS Relational Database Management System

RGIS-RG Relational Grid Information Services – Research Group

R-GMA DataGrid relational Grid monitoring architecture

SANTA System Area Network Trace Analysis

SANTA-G Grid-enabled System Area Network Trace Analysis

SMiLE Shared Memory in a LAN-like Environment

SNORT Open source network intrusion detection system

SOAP Simple Object Access Protocol

SRS Software Requirements Specification

WSDL Web Services Description Language

4  state of the art

4.1  Applications MONITORING

4.1.1  OCM-G

In this section, we provide an overview of three grid application monitoring approaches currently being developed, which are similar to the OCM-G approach. We try to compare the presented approaches to our own – OMIS/OCM-G based. The mentioned projects/systems are as follows: GrADS (Autopilot), GridLab, DataGrid (GRM).

·  GrADS

The Grid Application Development Software (GrADS) project develops a software architecture designed to support application adaptation and performance monitoring. The GrADSoft architecture (program preparation and execution system), replaces the discrete steps of application creation, compilation, execution, and post-mortem analysis with a continuous process of adapting applications to both a changing Grid and a specific problem instance.

The GrADSoft monitoring infrastructure is based on Autopilot, a toolkit for application and resource monitoring and control. The monitoring is based on sensors, which may be put directly into source code or embedded in the application library. The sensors register in Autopilot Manager and can then be accessed by sensor clients to collect information. The clients can be located anywhere on the Grid. Modification of the application behavior is achieved by executing actuators, which are implemented by the user in the source code.

There are predefined sets of sensors and sensor clients, but the user can also implement them manually with an API provided by Autopilot. This is, however, not very convenient. Sensors can include user-defined code for data pre-processing. Although it is flexible, the processing is fixed at compile time, while in the OCM-G it is defined at run-time.

More important is that the Autopilot toolkit works within an enclosed framework, where definition of measurement, compilation and performance tuning is done automatically, thus theusers do not have a detailed insight into their applications. In our approach, we focus on providing the user with exact knowledge of application performance in a particular execution, e.g., the user can flexibly specify what information he needs.

Although the Autopilot toolkit is a mature and interesting application monitoring approach, it is oriented more towards automatic steering, than to providing feedback to the programmer. It gives arather general view of application and environment, e.g., to explore patterns in behavior instead of particular performance loss. Based on those patterns and external knowledge (e.g. user’s experience), aperformance optimization action is taken. It suits well the situation of a run-time system, where aspecial compiler creates a program, which is then automatically reconfigured at run-time depending on discovered patterns, e.g., the I/O buffer is resized for certain operations to improve performance.

The GrADS project differs from ours in its goal: it aims to provide tools that will free the user from many low-level concerns, permitting greater focus on the high-level design and tuning of programs for a heterogeneous distributed computing environment, while our goals are to provide the user with exact, low-level knowledge of the application internals and behavior.

·  Gridlab

The application monitoring system developed within the GridLab project implements on-line steering guided by performance prediction routines deriving results from low level, infrastructure-related sensors (CPU, network load). GridLab proposed a protocol for high-level producer-consumer communication. The protocol has three types of messages: commands, command responses and metric values. A consumer can authenticate, initiate a measurement, and collect data. Additionally, the GridLab team proposed a standard set of metrics along with their semantics.